**Request**
The reader should duplicate only the lines further below with the word "Materials" in them.

**Material**
____________
Entry 1:
A relaxed NbVH4 crystal. Source: Materials Project, functional PBE-GGA.

Geometry as POSCAR:
```
NbVH4
1.0
3.118 0.000 0.000
0.000 3.118 0.000
0.000 0.000 4.410
Nb V H
1 1 4
Direct
0.000 0.000 0.000 Nb
0.500 0.500 0.500 V
0.000 0.500 0.273 H
0.000 0.500 0.727 H
0.500 0.000 0.273 H
0.500 0.000 0.727 H
```

## Properties
Symmetry: P4/mmm, No. 123
DFT formation energy (eV per atom): -0.319

Entry 2:
A relaxed Na5ZrAl3Si3S3O24 crystal. Source: Materials Project, functional PBE-GGA.

Geometry as POSCAR:
```
Na5ZrAl3Si3S3O24
1.0
8.761 0.000 0.000
4.340 7.618 0.000
0.210 0.172 22.084
Na Zr Al Si S O
15 3 9 9 9 72
Direct
0.000 0.000 0.000 Na
0.001 0.735 0.500 Na
0.283 0.412 0.335 Na
0.300 0.731 0.419 Na
0.309 0.728 0.920 Na
0.321 0.345 0.665 Na
0.330 0.067 0.166 Na
0.343 0.373 0.012 Na
0.621 0.366 0.514 Na
0.642 0.044 0.591 Na
0.643 0.029 0.090 Na
0.945 0.084 0.672 Na
0.955 0.700 0.178 Na
0.961 0.381 0.758 Na
0.961 0.391 0.259 Na
0.660 0.040 0.441 Zr
0.665 0.021 0.937 Zr
0.985 0.384 0.111 Zr
0.001 0.373 0.405 Al
0.009 0.348 0.904 Al
0.314 0.699 0.271 Al
0.318 0.698 0.567 Al
0.327 0.708 0.774 Al
0.334 0.699 0.068 Al
0.654 0.023 0.232 Al
0.662 0.061 0.740 Al
0.976 0.367 0.605 Al
0.006 0.084 0.506 Si
0.266 0.375 0.509 Si
0.281 0.069 0.006 Si
0.341 0.411 0.173 Si
0.594 0.708 0.175 Si
0.607 0.428 0.672 Si
0.951 0.740 0.335 Si
0.966 0.041 0.834 Si
0.997 0.656 0.001 Si
0.025 0.708 0.672 S
0.028 0.987 0.173 S
0.327 0.990 0.672 S
0.357 0.036 0.336 S
0.357 0.339 0.834 S
0.653 0.747 0.831 S
0.658 0.337 0.335 S
0.695 0.383 0.001 S
0.699 0.653 0.506 S
0.009 0.549 0.667 O
0.012 0.164 0.170 O
0.013 0.188 0.446 O
0.017 0.527 0.945 O
0.102 0.743 0.616 O
0.103 0.885 0.117 O
0.139 0.904 0.227 O
0.141 0.681 0.725 O
0.149 0.164 0.950 O
0.150 0.719 0.330 O
0.152 0.412 0.447 O
0.156 0.862 0.824 O
0.163 0.384 0.170 O
0.167 0.170 0.668 O
0.168 0.358 0.570 O
0.173 0.673 0.009 O
0.173 0.885 0.515 O
0.182 0.354 0.840 O
0.183 0.201 0.342 O
0.197 0.188 0.067 O
0.288 0.536 0.232 O
0.293 0.909 0.725 O
0.296 0.548 0.514 O
0.298 0.878 0.014 O
0.333 0.883 0.331 O
0.341 0.513 0.827 O
0.350 0.885 0.616 O
0.353 0.504 0.110 O
0.442 0.068 0.282 O
0.447 0.222 0.781 O
0.462 0.259 0.890 O
0.464 0.014 0.391 O
0.466 0.071 0.998 O
0.466 0.203 0.504 O
0.475 0.744 0.115 O
0.482 0.014 0.678 O
0.483 0.512 0.611 O
0.495 0.696 0.235 O
0.496 0.726 0.826 O
0.497 0.512 0.332 O
0.503 0.548 0.729 O
0.508 0.213 0.183 O
0.520 0.539 0.007 O
0.522 0.674 0.513 O
0.619 0.850 0.888 O
0.623 0.261 0.393 O
0.626 0.224 0.679 O
0.631 0.877 0.179 O
0.668 0.226 0.995 O
0.670 0.850 0.780 O
0.679 0.222 0.284 O
0.682 0.831 0.502 O
0.778 0.550 0.451 O
0.782 0.403 0.947 O
0.793 0.534 0.172 O
0.802 0.342 0.056 O
0.809 0.574 0.561 O
0.810 0.395 0.664 O
0.813 0.577 0.837 O
0.816 0.352 0.344 O
0.822 0.847 0.278 O
0.829 0.055 0.500 O
0.829 0.858 0.999 O
0.835 0.068 0.776 O
0.848 0.867 0.678 O
0.851 0.008 0.179 O
0.865 0.852 0.398 O
0.875 0.006 0.895 O
0.951 0.204 0.567 O
0.955 0.588 0.065 O
0.972 0.222 0.845 O
0.973 0.542 0.345 O
```

## Properties
Symmetry: P1, No. 1
DFT formation energy (eV per atom): -2.675

- Which of these has the lowest DFT formation energy?
  Na5ZrAl3Si3S3O24

- Among the records above, which one has the lowest DFT formation energy?
  Na5ZrAl3Si3S3O24

- Look up the DFT formation energy of the second one.
  -2.675 eV per atom

- Among the records above, which one has the highest DFT formation energy?
  NbVH4


A geometry-optimized UGe2Pt2 structure, computed with PBE.

Results
* ΔE_f: -0.5404 eV/atom
* volume: 18.808 Å³/atom

Lattice parameters (Å, degrees): 4.2996 4.2996 10.1742 90.00 90.00 90.00
With the nearest neighbours (Å) after each atom.
Fractional positions:
U 0.0000 0.5000 0.2501  8 Ge 3.26-3.33, 8 Pt 3.28-3.33
U 0.5000 0.0000 0.7499  8 Ge 3.26-3.33, 8 Pt 3.28-3.33
Ge 0.0000 0.0000 0.5000  4 Pt 2.51
Ge 0.5000 0.5000 0.5000  4 Pt 2.51
Ge 0.0000 0.5000 0.8652  5 Pt 2.41-2.55
Ge 0.5000 0.0000 0.1348  5 Pt 2.41-2.55
Pt 0.0000 0.0000 0.0000  4 Ge 2.55
____________

**Result**
A relaxed NbVH4 crystal. Source: Materials Project, functional PBE-GGA.
A relaxed Na5ZrAl3Si3S3O24 crystal. Source: Materials Project, functional PBE-GGA.